Estate of Debert David Wise
=====
{
  "formula": "C3H9N2",
  "method": "the ωB97M-V functional and the def2-TZVPD basis",
  "species": ["H", "C", "H", "N", "H", "C", "N", "C", "H", "H", "H", "H", "H", "H"],
  "xyz": [[-0.495, 0.822, -1.852], [0.699, -0.519, 1.156], [1.074, -0.441, -2.806], [0.893, -0.669, -1.839], [-2.139, 0.163, 0.817], [-0.134, 0.203, 0.140], [-1.368, 0.828, 0.707], [0.103, 0.210, -1.181], [-1.083, 1.190, 1.625], [1.554, -1.318, -1.442], [0.487, -0.037, 2.124], [1.773, -0.526, 1.057], [-1.683, 1.625, 0.157], [0.319, -1.530, 1.337]],
  "forces_ev_per_a": [[0.0, 0.0, 0.1], [-1.7, 0.0, 1.2], [0.1, -0.2, 0.2], [0.5, 0.6, -0.9], [0.1, 0.1, 0.1], [0.9, -0.3, -0.3], [1.1, 0.3, 0.0], [-1.1, -0.6, 0.2], [-0.5, 0.0, 0.0], [-0.2, 0.2, 0.4], [0.4, 0.0, 0.0], [0.2, 0.1, -0.5], [-0.2, 0.0, -0.2], [0.3, -0.2, -0.2]],
  "max_force_ev_per_a": 2.1,
  "e_homo_ev": -12.8,
  "lumo_energy_ha": -0.131,
  "smiles": "C/C([NH3+])=C\\N",
  "gap_ha": 0.3387,
  "total_charge": 1,
  "e_above_lowest_kcal_mol": 25.1
}

***

{
  "formula": "C47H31N4O4PTl",
  "method": "the ωB97M-V functional and the def2-TZVPD basis",
  "species": ["C", "C", "C", "P", "O", "O", "Tl", "C", "H", "C", "H", "H", "C", "C", "H", "H", "H", "C", "C", "H", "N", "H", "C", "H", "C", "O", "C", "C", "H", "H", "C", "C", "C", "C", "C", "H", "C", "C", "C", "H", "C", "H", "C", "C", "C", "C", "H", "N", "H", "C", "C", "C", "H", "C", "H", "H", "C", "C", "C", "H", "H", "N", "H", "H", "C", "C", "H", "C", "H", "H", "C", "C", "C", "C", "H", "C", "C", "H", "C", "C", "H", "H", "H", "N", "C", "O", "C", "C"],
=====
_The piece goes on_
Estate of Debert David Wise
Case Number
Case Type
Hearing Date / Time
Mon, 03/17/2025 - 08:30
Nature of Proceedings
**Data records from another source follow:**
____________
Record 1
{"formula": "C12H16ClP", "method": "ωB97M-V with the def2-TZVPD basis set", "energy_ev": -34513.3360, "e_lumo_ev": 0.3, "charge": 0, "gap_ev": 8.8, "homo_energy_ha": -0.313, "species": ["C", "C", "C", "C", "C", "C", "C", "C", "C", "C", "C", "C", "P", "Cl", "H", "H", "H", "H", "H", "H", "H", "H", "H", "H", "H", "H", "H", "H", "H", "H"], "coordinates": [[5.07, -0.54, 0.32], [4.70, -0.32, -0.99], [4.10, -0.77, 1.28], [3.36, -0.34, -1.35], [2.76, -0.80, 0.93], [2.38, -0.59, -0.39], [0.96, -0.61, -0.80], [0.01, -1.18, -0.11], [-2.56, 1.58, -1.11], [-4.41, 0.53, 0.21], [-2.14, 0.82, 1.25], [-2.90, 0.54, -0.04], [-2.43, -1.12, -0.82], [-3.03, -2.38, 0.62], [6.11, -0.51, 0.60], [5.45, -0.13, -1.74], [4.38, -0.93, 2.31], [3.07, -0.18, -2.37], [2.01, -0.96, 1.69], [0.75, -0.13, -1.74], [0.03, -1.73, 0.81], [-3.16, 1.41, -2.01], [-2.76, 2.58, -0.74], [-1.51, 1.52, -1.38], [-4.95, 0.17, -0.66], [-4.75, 1.53, 0.46], [-4.65, -0.13, 1.05], [-1.09, 1.01, 1.04], [-2.56, 1.69, 1.75], [-2.21, -0.03, 1.93]]}

Record 2
____________
Review Hearing: Final Distribution
Tentative Ruling
Probate Notes:
Appearances required.
The following defects must be corrected before the petition can move forward:
Notice to Franchise Tax Board. Notice MUST have been given to the Franchise Tax Board not later than 90 days after the date letters are first issued. (Prob. Code, § 9202, subd. (c)(1).)
Supplement re: Final Inventory and Appraisal – There are now three different Inventory and Appraisals on file that are marked “Final.” The first was filed on June 5, 2024, and does not comply with Probate Code requirements, because it was not signed by the Probate Referee, and contains several line items that are nonsense or not valued. The second Inventory and Appraisal was labeled “corrected,” and also was not signed by the Probate Referee, contained erroneous or inappropriate entries, and attempted to account for losses. The last was filed on February 28, 2025, and does not indicate whether the Inventory and Appraisal is corrected, supplemental, or amended.
Petitioner must file a supplement explaining whether the last-in-time filed Inventory and Appraisal is meant to be the only Inventory and Appraisal considered by the Court to define the contents and value of the estate.
Supplement re: Allegations in the Petition. The following defects in the allegations in the petition require a supplement to the petition in order to comply with the relevant code section cited, or give the Court the necessary information to adjudicate the ability of the estate to be closed:
**The article is interrupted by quantum chemistry results**
73
Properties=species:S:1:pos:R:3:forces:R:3 method="wB97M-V/def2-TZVPD" orbital_gap_ev=6.6 lumo_ha=-0.164 e_tot_ha=-1589.438959 charge=+1
C -3.91784 3.38767 -1.96767 0.2 0.6 0.1
C -3.54798 1.97822 -1.74857 -0.8 -1.1 1.0
N -4.50926 1.01855 -1.71925 0.8 1.0 -0.4
C -5.94162 1.25389 -1.79322 -0.3 0.1 -0.2
C -3.92960 -0.25060 -1.68386 0.9 -0.3 0.6
C -2.52327 -0.08370 -1.70479 -0.6 -0.4 -0.5
C -1.71570 -1.21762 -1.70149 -0.3 -0.5 0.0
C -2.31518 -2.46764 -1.48683 0.0 0.3 -0.2
C -3.71085 -2.60164 -1.39121 0.0 0.4 0.0
C -4.54806 -1.48104 -1.51190 0.3 -0.2 -0.1
C -2.26293 1.35475 -1.63717 0.9 -0.1 0.1
C -0.98587 1.92898 -1.43061 -2.0 1.0 -2.2
C 0.10580 1.56515 -2.33508 2.2 -1.6 0.0
C 0.94512 0.51446 -1.92352 -0.7 0.0 -0.4
C 2.02481 0.06259 -2.67388 -0.5 0.2 -0.9
C 2.24891 0.63216 -3.93323 -0.1 0.3 0.4
C 1.43979 1.69541 -4.36765 0.0 -0.2 0.2
C 0.38503 2.17262 -3.58108 -0.4 0.0 0.5
H -3.00717 3.98718 -2.03385 -0.2 0.1 0.0
H -4.49236 3.53447 -2.89775 0.3 -0.2 0.3
H -4.53858 3.77293 -1.14645 0.1 -0.1 -0.1
H -6.45613 0.37312 -1.40223 0.1 0.3 0.0
H -6.22434 2.12559 -1.19325 0.1 -0.2 -0.1
H -6.27525 1.41456 -2.82824 0.2 -0.1 0.2
H -0.65797 -1.12941 -1.93375 -0.3 -0.2 0.4
H -1.67245 -3.34797 -1.40549 -0.3 0.2 -0.1
H -4.14304 -3.59010 -1.24211 0.1 0.3 0.0
H -5.63620 -1.54177 -1.47056 0.4 -0.3 0.0
H -0.95763 2.94390 -1.02089 0.0 -0.2 -0.1
H 0.65825 0.04289 -0.98643 0.4 0.2 -0.7
H 2.64064 -0.75609 -2.29870 -0.2 0.3 -0.2
H 3.06859 0.26278 -4.55176 -0.3 0.2 0.1
H 1.64246 2.15870 -5.33592 -0.1 -0.1 0.3
H -0.25065 2.99399 -3.92661 0.3 -0.2 0.0
N 3.65521 1.93593 -0.34684 -1.5 -2.5 0.7
N 3.09175 0.97282 -0.08127 0.9 1.5 -0.5
N 2.50187 -0.11465 0.06322 1.1 1.0 -0.6
C 2.00417 -0.38510 1.40978 0.2 0.0 0.3
C 1.88948 -1.91205 1.51965 0.2 -0.2 0.1
C 2.11090 -2.56571 2.73893 -0.1 -0.1 -0.2
C 2.06653 -3.96288 2.80001 -0.1 0.2 -0.1
C 1.77539 -4.70500 1.65345 -0.1 0.1 -0.1
C 1.51042 -4.05016 0.44448 0.0 0.3 0.2
C 1.57927 -2.65458 0.38127 0.0 -0.3 0.0
C 3.12525 0.09814 2.34504 -0.5 -0.1 0.7
C 4.40329 -0.36602 2.02136 0.6 0.0 0.6
C 5.50637 0.02130 2.78440 -0.4 0.1 -0.1
C 5.33203 0.88284 3.87629 -0.2 -0.1 -0.1
C 4.04853 1.30187 4.22619 -0.1 -0.1 -0.1
C 2.93361 0.89855 3.47227 0.5 0.0 -0.2
C 0.60017 0.26393 1.61384 -0.5 0.0 0.6
C -0.60734 -0.67459 1.62056 0.0 -0.2 -0.2
C -1.80167 0.29324 1.68710 -0.3 -0.2 0.1
C -1.21411 1.66206 1.31625 0.3 0.2 1.2
N 0.07534 1.32626 0.68976 0.1 0.6 0.0
H 2.33737 -1.98673 3.63934 0.0 -0.2 -0.3
H 2.26124 -4.46141 3.75185 -0.1 0.1 -0.3
H 1.74656 -5.79452 1.69990 0.0 0.3 0.0
H 1.25284 -4.60663 -0.45962 0.2 0.1 0.3
H 1.40722 -2.13433 -0.56621 0.1 -0.3 0.3
H 4.53063 -1.07726 1.19889 0.0 0.4 0.2
H 6.49428 -0.34445 2.50575 -0.2 0.1 0.2
H 6.19612 1.21579 4.45381 -0.3 -0.1 -0.1
H 3.89025 1.94946 5.09001 0.1 -0.2 -0.2
H 1.93123 1.21761 3.76772 0.5 0.0 0.0
H 0.63849 0.72833 2.61110 -0.1 -0.1 -0.2
H -0.62697 -1.22052 0.66386 0.0 0.1 0.4
H -0.57080 -1.41513 2.42923 -0.1 0.3 -0.2
H -2.58190 -0.00061 0.97683 0.1 0.0 0.2
H -2.24289 0.32171 2.68983 0.0 0.0 -0.2
- Clarification of Paragraph 13. Paragraph 13 alleges that there was only one Inventory and Appraisal filed, that Inventory and Appraisal was final, and the amount appraised for the inventory was $917,219.86. Contrary to that allegation, there were two Inventory and Appraisals filed, the last in time being labeled “corrected” and valued at $97,219.86.
- Proposed Distribution. The proposed distribution does not comply with the intestate distribution scheme in the Probate Code. When a decedent’s estate does not pass by a testamentary instrument (by failure of transfer, or omission, etc.), that property passes to the decedent’s heirs as prescribed in Division 6, part 2 of the Probate Code (§§6401, et seq.). (Prob. Code, § 6400.)
- The Decedent died in 2020 leaving a surviving spouse and daughter. Decedent’s surviving spouse died three years later. Therefore, according to the intestate scheme of the state of California, the distribution of this estate should be distributed completely to the surviving spouse’s estate. If there is a spouse, 1/2 of community property passes to that person. Thus, a living spouse is held to own all community property, since 1/2 of the community property passes to that spouse, and 1/2 of the community property is owned by that spouse. (Prob. Code, §§ 6401(a), 100.) The same is true for quasi-community property. (Prob. Code, §§ 6401(b), 101.)
Supplement re: Escrow Statement. Real property was sold, but no Escrow Statement is on file. The escrow statement is a requisite filing to satisfy the final report requirements of the Probate Code (Prob. Code, § 10954(c)(1)), and the California Rules of Court (Rule 7.550):
Allegations of all actions taken under IAEA, including:
- sales, purchases, or exchanges of assets (CRC, Rule 7.550(b)(2))
- changes in the form of assets (CRC, Rule 7.550(b)(3))
- assets on hand (CRC, Rule 7.550(b)(4))
- a list of costs of administration, IF reimbursement of administration costs is requested (CRC, Rule 7.550(b)(7))
- a list of the amount of any fees or commissions paid or to be paid (CRC, Rule 7.550(b)(8)), and the calculation of such fees or commissions as described in CRC, Rule 7.705(b) (CRC, Rule 7.550(b)(9))
The requirements of Rule 7.550(b) mandate an escrow statement for any sale of real property must be submitted in support of the final report.
Proposed Order. A proposed order must be submitted with relief that matches that requested in the petition. (Local Rule 1724(b), subd.(d).) Order must list every beneficiary and detail the shares to each, and must expressly state limitations or conditions on distribution. (Prob. Code, § 11603.) IF whereabouts of a distributee are unknown, the Proposed Order must provide for alternate distributes, and detail the share to which they are entitled per PC § 11603(c). It is highly recommended petitioner use Local Form SC-6029. No such document was filed with the court.
Due to staffing limitations, processing times may be delayed. To assist in processing, attorneys and parties should include the next court date in the “Filing Description” field provided by the electronic service provider. That field is also used for further descriptions of the document being e-filed, so be sure to put the calendar date FIRST in the field – BEFORE any further description of the document being e-filed (e.g.: 06/28/16 For XYZ).
The court is open to the public for court business. The court is also conducting hearings via Zoom videoconference.
Meeting ID: 161 797 5412
Passcode: 8749009